-- Activity --
What is needed: transcribe the part of the notes further down that starts with the line with "4/m" and stops after the one with "states/eV per".

-- Material --
+++
First-principles (GGA-PBE) data for a geometry-optimized LaGa2CoI structure, as listed in the Alexandria database.

```
data_LaGa2CoI
_chemical_formula_sum 'La1 Ga2 Co1 I1'
_symmetry_space_group_name_H-M 'P 4/m m m'
_symmetry_Int_Tables_number 123
_symmetry_space_group_name_Hall '-P 4 2'
_cell_length_a 4.715
_cell_length_b 4.715
_cell_length_c 5.277
_cell_angle_alpha 90.00
_cell_angle_beta 90.00
_cell_angle_gamma 90.00
loop_
_atom_site_label
_atom_site_type_symbol
_atom_site_fract_x
_atom_site_fract_y
_atom_site_fract_z
_atom_site_occupancy
La1 La 0.000 0.000 0.000 1
Ga1 Ga 0.000 0.500 0.500 1
Co1 Co 0.000 0.000 0.500 1
I1 I 0.500 0.500 0.000 1
```

Properties
N(E_F): 1.9 states/eV per cell
Size of the total moment: 0.0 μB/cell
Formation energy (no corrections): -0.592 eV per atom
Crystal system: tetragonal
+++

-- Completed --
_symmetry_space_group_name_H-M 'P 4/m m m'
_symmetry_Int_Tables_number 123
_symmetry_space_group_name_Hall '-P 4 2'
_cell_length_a 4.715
_cell_length_b 4.715
_cell_length_c 5.277
_cell_angle_alpha 90.00
_cell_angle_beta 90.00
_cell_angle_gamma 90.00
loop_
_atom_site_label
_atom_site_type_symbol
_atom_site_fract_x
_atom_site_fract_y
_atom_site_fract_z
_atom_site_occupancy
La1 La 0.000 0.000 0.000 1
Ga1 Ga 0.000 0.500 0.500 1
Co1 Co 0.000 0.000 0.500 1
I1 I 0.500 0.500 0.000 1
```

Properties
N(E_F): 1.9 states/eV per cell